note: I've had this finished for years, but to be honest I've been tired of this story for a while now. Still, it doesn't seem right to leave it unfinished when I actually have the ending done.
It was years before Loki looked on their daughter, though Thor sought her out as soon as it occurred to him that it was probably the thing to do. She was a tiny baby—all babies were, Thor supposed—with wispy blonde hair, and red eyes, though in all other respects she looked perfectly Aes.
The first time Loki saw her he did not tell her who he was. He observed, from the side of the room, as Thor and Thruð played. He was wearing what Thor would never be able to stop thinking of as his 'natural' form—the one they had both known all their lives.
When he finally ventured to talk to her, Thruð could already speak, and she regarded him curiously. "Are you my Mother?" she asked.
"You can call me Loki," Loki said. The girl shrugged. "All right," she said. "Here, you can play with us."
Thor did not stop looking for the missing piece. He told Loki he would know it when he saw it, though he had no idea if that was so, and Loki rolled his eyes. "Give it up," he said gently.
It was simple, when it came. Hodur hadn't been to court in years, not since his duel with his brother, Baldur, resulting in the latter's death. Thor would not have remembered him if Loki had not mentioned the day to him in passing.
"Loki—if either of us died, or were discredited, Hodur would be in line for the throne, would he not?"
"Yes," Loki answered. "Why?"
And Thor outlined his thoughts. Loki frowned, and tapped his chin with his pen. "Let me look into that," he said.
A year later and Thor had almost forgotten what he'd suggested, believing that it had been nothing more than a false hope. But Loki barged into his room and dragged him to the library in the middle of the night.
"This," he said, pointing at the picture—it was of two small vials, "Is what is called a love potion. It re-creates the feelings of love or lust for one night. For whoever is touched by the liquid in the violet bottle, that is the only effect. But for whoever is touched by the liquid in the blue bottle, when sex happens—which it will—they will become pregnant. Man or woman. It is a highly illegal potion, as you might imagine."
"And who drugged us with this?" Thor asked.
"It was Hodur. I did some digging around, and it was most definitely Hodur, and probably Baldur as well."
"So I was right," Thor said.
Loki grinned, ignoring Thor's words. "I think I'm in the mood to pay Hodur a little visit," he said quietly. "What about you?"
The two travelers introduced themselves as Thor and Loki, crown princes of Asgard. Hodur invited them into his house graciously, having a feast prepared in their honor.
The two sat next to each other, Loki aloof and regal, wearing a crown of ice ('Are you seriously going to wear that?' Thor had asked grinning. 'Shut up,' Loki answered. 'It looks intimidating.') Thor was beside him, courteous and genial. They made small talk with their host, wearing away the time between courses, and Loki stared at Hodur, red eyes glinting and unfathomable, until Hodur swallowed in nervousness. Then he smiled, ever so slightly, reached out, and took Thor's hand in a calculated gesture. Hodur followed the motion, stiff with anger, and his jaw tightened; but he made no other sign of his ire.
Hodur left them as soon as it would be polite, citing tiredness, and somehow happened to stumble across them kissing in the shadows of an alcove on the way to his bedchamber. His steps faltered.
As he hurried away, Loki collapsed in silent laughter.
"What was his face like?" Thor asked.
"Oh! He was furious, outraged! He can't bear to see that his plan backfired so badly."
Thor grinned.
They asked for adjacent rooms, and they lay on unmade beds, silently in the hours until dawn.
They exited the rooms quietly, making their way invisible, with Loki's aid, into Hodur's chambers. He was getting dressed when they slipped in, and he turned around, startled, as Loki stepped forward.
His eyes hardly had time to widen before he was tied to his bed in unbreakable chains, and his mouth gagged.
"Hello there," Loki whispered down, Thor standing silent behind him. "I think you know why we're here. I would have liked to punish your brother as well, but we can't have everything I suppose."
He drew from his robes a small black vial. "You've done enough shady dealings to know what this is, I presume," Loki said, ignoring Hodur's renewed struggles to move at the sight of it. "Serpent's venom. Acid so strong it can eat through your skull." He unstopped the top and held it over Hodur's face musingly.
"Mouth first," he decided, ripping out the invisible gag and letting a few drops fall into Hodur's mouth. His screams withered before they began.
"And now your eyes," Loki went on, calmly, and dropped one drop into each. The acid smoked and ate away where it touched, as Loki drew it next along his neck, and then his arms and legs. Enough to hurt, but not enough to die.
Then it was Thor's turn. He reached for his hammer, and swung it down in a satisfying crack upon Hodur's skull, leaving only a broken bed with a mangled corpse atop it.
# The text is interrupted by quantum chemistry results
Here is a 10-piece molecular cluster, C37H95N7O16 overall at a distorted geometry from the Open Molecules 2025 dataset. Energies are from wB97M-V/def2-TZVPD.

Bonds (Å) are listed after each position.
Cartesian coordinates (Å):
1 C 4.839 5.500 3.597  H25 1.085, C123 1.558, H143 1.111, O153 1.405
2 H -2.715 3.408 -2.089  C120 1.100
3 H 2.822 -4.103 -2.712  C51 1.105
4 H -1.386 -5.139 -0.239  C92 1.098
5 H -4.819 2.593 3.799  C152 1.108
6 H -1.843 0.696 -3.539  C95 1.112
7 N 4.791 4.718 6.012  H50 1.036, H90 1.018, C123 1.455
8 C 0.620 -0.631 0.657  H36 1.070, C100 1.521, H129 1.068, H136 1.083
9 H -0.202 0.862 -5.535  C147 1.065
10 C -3.838 -2.694 -0.270  H20 1.101, H121 1.107, O142 1.412, C146 1.586
11 C 9.071 -2.178 0.236  H40 1.100, H64 1.097, O83 1.396, H127 1.075
12 H -7.602 0.247 -2.391  C151 1.091
13 C 0.802 -2.214 4.112  O43 1.434, H84 1.077, H86 1.082, H149 1.067
14 C 4.576 -0.990 0.743  H59 1.100, H61 1.091, O109 1.455, H150 1.086
15 C 4.642 4.101 1.758  H22 1.048, H47 1.094, H56 1.101, O153 1.407
16 H -1.117 2.347 3.463  C53 1.129
17 H 0.860 -1.701 -2.186  C32 1.066
18 C -3.788 0.061 -4.401  N21 1.452, C41 1.570, H57 1.056, C95 1.513
19 C -5.072 2.298 -2.095  O27 1.357, O113 1.175, O131 1.398
20 H -3.065 -1.916 -0.365  C10 1.101
21 N -4.992 -0.698 -4.116  C18 1.452, H44 1.015, H78 1.020
22 H 4.319 3.131 1.531  C15 1.048
23 H -5.168 1.072 2.842  C152 1.110
24 C 0.579 -3.272 -5.214  H30 1.132, H62 1.107, C85 1.518, H119 1.066
25 H 5.908 5.678 3.561  C1 1.085
26 H -0.322 -4.589 5.230  C69 1.140
27 O -4.121 2.207 -1.131  C19 1.357, C120 1.451
28 H 3.008 -2.964 -4.599  N130 0.989
29 H -4.640 2.712 2.132  C152 1.126
30 H 0.832 -2.857 -6.236  C24 1.132
31 H -1.142 -6.205 2.670  C124 1.151
32 C 0.520 -2.414 -2.901  H17 1.066, C85 1.524, O88 1.426, H135 1.067
33 H -1.334 -1.360 -7.102  C145 1.102
34 H 3.137 2.143 3.465  C141 1.040
35 H -4.296 -2.176 2.891  C111 1.095
36 H 1.422 -0.645 -0.051  C8 1.070
37 H -1.555 5.186 3.135  C103 1.108
38 O 0.906 0.906 -2.970  C148 1.240
39 H -2.963 0.122 -2.330  C95 1.107
40 H 9.288 -2.053 1.307  C11 1.100
41 C -3.238 -0.490 -5.764  C18 1.570, O101 1.429, H134 1.136, H137 1.133
42 H -2.510 -0.297 -8.080  C145 1.120
43 O -0.128 -2.701 3.135  C13 1.434, C72 1.372
44 H -4.951 -1.624 -4.530  N21 1.015
45 H -1.763 0.343 3.927  N102 0.996
46 H -0.784 0.284 -7.743  C145 1.108
47 H 5.671 4.237 1.412  C15 1.094
48 H -3.289 -1.068 1.917  C111 1.097
49 H 1.078 2.482 1.778  C128 1.099
50 H 4.779 3.720 5.735  N7 1.036
51 C 2.095 -3.983 -1.888  H3 1.105, H66 1.116, H81 1.067, O88 1.408
52 O 1.553 1.828 -4.969  C147 1.472, C148 1.330
53 C -2.098 2.756 3.084  H16 1.129, C71 1.541, H91 1.115, O94 1.403
54 H -1.830 -3.658 2.728  C72 1.076
55 H -3.762 -4.566 -2.773  N154 1.009
56 H 3.970 4.828 1.276  C15 1.101
57 H -4.136 1.057 -4.463  C18 1.056
58 H -3.784 -4.883 -0.431  C146 1.120
59 H 3.632 -1.535 0.595  C14 1.100
60 C 6.859 -1.465 0.517  O65 1.191, O83 1.335, O109 1.374
61 H 4.606 -0.806 1.818  C14 1.091
Loki got rid of every trace of the crime, then the two travelers slipped away, unnoticed and unseen; bright-cloaked figures walking together into the pale cold light of morning.